Nov 13, 2020
Food is fuel, but it’s also more.
This is going to be a bit of a trip down memory lane and involve some stories so if you just want straight science and results, sorry but this one is a bit deeper.
“To look at any food as “cheating” takes the joy out of life. It also tends to create a poor relationship with food where guilt enters the picture and this can create more problems.”
This is a quote I got from Dr. Layne Norton.
Food is fuel, eat what you need, nothing more, and stop wandering off into temptress land and eating the cookie bread house. GOD DAMMIT KAREN GET YOUR SHIT TOGETHER.
That is how I used to think, how I used to feel when I couldn’t wrap my head around why people were just constantly going off track with their food, and why they couldn’t just suck it up for a week or 2. First, let’s put this into a little context to understand the broken thought process that this came from and how even today I see a lot of people stuck in this way of thinking with clients or themselves.
Wanting a day off, a meal with friends, sharing a social occasion, a special night with your partner, or even an anniversary is all something that is very normal and acceptable. That was not my belief though. My thoughts were if you wanted something you were either all in or get the hell out of the frying pan. No half measures. I wouldn’t go to social situations, I wouldn’t drink, wouldn’t go out for a special meal with loved ones, looking back I was really freaking boring and no wonder I never understood people and socialising. I realise this all sounds rather odd but my mentality was you’re in or out. Don’t just stand there with the door half-open.
Misplaced calculated crystals:
********
No. 1
The following is a computed X-ray diffraction stick pattern of KHgBr2. It was derived from a DFT-relaxed cell (GGA-PBE, Alexandria), using copper Kα.

Top 12 peaks for 15 to 90 degrees two-theta, in order of rising 2θ:
two_theta  intensity  hkl
19.90  16  1 0 0
21.63  25  0 1 1
25.17  47  0 0 4
29.56  100  1 1 1
34.68  46  1 1 3
38.11  23  0 1 5
40.44  18  2 0 0
42.10  16  0 2 0
43.35  46  1 1 5
48.24  16  2 0 4
49.68  15  0 2 4
56.78  14  2 1 5

Crystal structure
Unit cell a=4.4605 b=4.2929 c=14.1504 alpha=90.00 beta=90.00 gamma=90.00
Space group Amm2 (No. 38)
One atom of each set of equivalent atoms:
K1 0.0000 0.0000 0.0000
Hg1 0.5000 0.0000 0.2282
Br1 0.0000 0.0000 0.7022
Br2 0.5000 0.0000 0.4352


No. 2
The following is a computed X-ray diffraction stick pattern of Fe2Co2Ni5. It was derived from a DFT-relaxed cell (GGA-PBE, Alexandria), using copper Kα.

Top 8 peaks for 15 to 90 degrees two-theta, in order of rising 2θ:
two_theta  intensity  hkl
44.25  100  3 1 -2
44.39  99  3 1 1
51.45  31  0 0 3
51.66  31  6 0 -1
51.82  30  0 2 0
75.70  9  6 0 -4
76.06  26  6 0 2
76.20  17  6 2 -1

Crystal structure
Unit cell a=10.6167 b=3.5285 c=5.6223 alpha=90.00 beta=108.61 gamma=90.00
Space group C2/m (No. 12)
One atom of each set of equivalent atoms:
Fe1 0.0572 0.0000 0.3297
Co1 0.2222 0.5000 0.3330
Ni1 0.0000 0.5000 0.0000
Ni2 0.1108 0.5000 0.6654
Ni3 0.1677 0.0000 0.0016

* * * * *

Computed PXRD pattern
Compound: Cs3Na
Radiation: CuKα
Structure: a GGA-PBE-relaxed structure
Lines closer than 0.1° are merged.

Top 10 peaks for 5° ≤ 2θ ≤ 70°, low angle first:
d/Å  I/Imax
5.272  18
4.536  36
4.109  16
4.045  30
4.004  100
2.882  13
2.830  17
2.372  13
2.327  23
********
The text goes on:
See I never understood food because for me food was a form of control. I had poor relationships with food because I had a poor relationship with myself. This flowed into social and outgoing situations as I couldn’t bear to have people watch me eat nor could I cope with what I thought they may think of me if they did see me go off track and eat something ‘off-plan’. Weakness. Poor will power. Not motivated. Fat. All things that would run through my mind days in the lead up to going out, if I was to go out at all. Then typically, as the time got closer, I would just make an excuse as to why I couldn’t attend or eat before and then not need to eat during the time. Yea….super healthy and stable right.
• Between two parts of the piece: records of crystals:
~~~
1.
For Tl4In3Ga2, a crystal structure in Alexandria, relaxed with GGA-PBE gives the computed PXRD pattern in this record (CuKα).
No peak broadening, texture or thermal motion is included.

Principal peaks in the range 2θ from 10° to 90°, by angle:
26.33°, 3.385 Å, I 21.6; 30.58°, 2.923 Å, I 100.0; 30.91°, 2.893 Å, I 38.9; 31.05°, 2.880 Å, I 16.4; 31.72°, 2.821 Å, I 15.5; 33.42°, 2.681 Å, I 26.5; 34.11°, 2.629 Å, I 20.4; 34.97°, 2.566 Å, I 27.9; 42.95°, 2.106 Å, I 18.2; 55.34°, 1.660 Å, I 16.6

Unit cell a=8.822 b=8.822 c=8.801 alpha=105.59 beta=105.59 gamma=22.46
Element x y z (fractional)
Tl 0.054 0.054 0.181
Tl 0.354 0.354 0.110
Tl 0.646 0.646 0.890
Tl 0.946 0.946 0.819
In 0.000 0.000 0.500
In 0.271 0.271 0.711
In 0.729 0.729 0.289
Ga 0.361 0.361 0.480
Ga 0.639 0.639 0.520

2.
For Ac3Hg4Pb, a crystal structure in Alexandria, relaxed with GGA-PBE gives the computed PXRD pattern in this record (CuKα).
No peak broadening, texture or thermal motion is included.

Principal peaks in the range 2θ from 10° to 90°, by angle:
31.08°, 2.878 Å, I 100.0; 32.30°, 2.772 Å, I 98.8; 45.43°, 1.996 Å, I 36.0; 54.51°, 1.683 Å, I 16.3; 56.83°, 1.620 Å, I 37.5; 57.60°, 1.600 Å, I 19.7; 64.80°, 1.439 Å, I 9.8; 67.60°, 1.386 Å, I 13.0; 74.27°, 1.277 Å, I 13.4; 76.25°, 1.249 Å, I 16.2

Unit cell a=10.107 b=10.107 c=10.107 alpha=31.84 beta=31.84 gamma=31.84
Element x y z (fractional)
Ac 0.000 0.000 0.000
Ac 0.240 0.240 0.240
Ac 0.760 0.760 0.760
Hg 0.121 0.121 0.121
Hg 0.372 0.372 0.372
Hg 0.628 0.628 0.628
Hg 0.879 0.879 0.879
Pb 0.500 0.500 0.500

3.
For La3HgRu, a crystal structure in Alexandria, relaxed with GGA-PBE gives the computed PXRD pattern in this record (CuKα).
No peak broadening, texture or thermal motion is included.

Principal peaks in the range 2θ from 10° to 90°, by angle:
27.66°, 3.225 Å, I 69.6; 27.88°, 3.200 Å, I 100.0; 33.87°, 2.647 Å, I 31.5; 34.41°, 2.607 Å, I 76.7; 35.11°, 2.556 Å, I 40.4; 35.40°, 2.536 Å, I 20.7; 37.97°, 2.370 Å, I 68.5; 41.02°, 2.200 Å, I 28.4; 52.67°, 1.738 Å, I 35.1; 61.83°, 1.500 Å, I 32.6

Unit cell a=6.971 b=6.971 c=6.971 alpha=72.15 beta=72.15 gamma=72.15
Element x y z (fractional)
La 0.032 0.384 0.584
La 0.084 0.884 0.532
La 0.384 0.584 0.032
La 0.532 0.084 0.884
La 0.584 0.032 0.384
La 0.884 0.532 0.084
Hg 0.013 0.013 0.013
Hg 0.513 0.513 0.513
Ru 0.214 0.214 0.214
Ru 0.714 0.714 0.714

4.
For NaTa3O8, a crystal structure in Alexandria, relaxed with GGA-PBE gives the computed PXRD pattern in this record (CuKα).
No peak broadening, texture or thermal motion is included.

Principal peaks in the range 2θ from 10° to 90°, by angle:
14.76°, 6.004 Å, I 56.8; 16.86°, 5.260 Å, I 17.2; 29.28°, 3.050 Å, I 17.1; 29.76°, 3.002 Å, I 100.0; 30.43°, 2.938 Å, I 92.5; 34.09°, 2.630 Å, I 25.2; 35.29°, 2.544 Å, I 48.8; 49.88°, 1.828 Å, I 67.5; 59.57°, 1.552 Å, I 31.1; 60.72°, 1.525 Å, I 26.5

Unit cell a=7.319 b=7.319 c=7.319 alpha=120.07 beta=88.12 gamma=122.12
Element x y z (fractional)
Na 0.250 0.250 0.000
Na 0.750 0.750 0.000
~~~
As I aged, reflected, rode the life coaster of ups and downs, I found myself seeing more and more how things weren’t so black and white and how when it comes to food, food is fuel, yes, but it also holds much more meaning to us as individuals and as societies and cultures in terms of bringing us together, creating bonds and establishing/strengthening relationships through generations. Any get together typically has the “bring a plate” or “something for the barbie mate” (fuck yea Australia I am getting it). Food is a form of celebration as much as a form of comfort and connection.
For most of us, we hear the word “diet” we think “FOMO”.
**What comes next are data records, not part of the text:**
'''
Entry 1:
Diffraction record for TiRhS3. The powder XRD pattern is theoretical, not measured: it uses DFT lattice parameters and positions (PBE) and Cu Kα (weighted mean of Kα1 and Kα2).
Neutral-atom scattering factors, no anomalous dispersion.

Crystal structure
a = 9.2951 Å, b = 9.2951 Å, c = 5.8840 Å
α = 90.00°, β = 90.00°, γ = 158.83°
Positions (direct):
Ti: 0.1637 0.8363 0.5000
Ti: 0.8363 0.1637 0.0000
Rh: 0.3385 0.6615 0.5788
Rh: 0.6615 0.3385 0.0788
S: 0.0827 0.9173 0.1984
S: 0.2446 0.7554 0.8794
S: 0.4009 0.5991 0.2067
S: 0.5991 0.4009 0.7067
S: 0.7554 0.2446 0.3794
S: 0.9173 0.0827 0.6984

Largest 10 diffraction maxima, by angle, 2θ from 10° to 90°:
| 2theta | I/Imax |
| --- | --- |
| 17.9 | 47.5 |
| 19.4 | 60.6 |
| 30.7 | 60.0 |
| 33.7 | 37.6 |
| 36.3 | 29.1 |
| 39.2 | 100.0 |
| 42.7 | 42.9 |
| 43.2 | 26.1 |
| 46.4 | 52.0 |
| 54.2 | 43.7 |

=====

Entry 2:
Diffraction record for Ca5TlAg4. The powder XRD pattern is theoretical, not measured: it uses DFT lattice parameters and positions (PBE) and Cu Kα (weighted mean of Kα1 and Kα2).
Neutral-atom scattering factors, no anomalous dispersion.

Crystal structure
a = 3.7473 Å, b = 3.7473 Å, c = 18.7698 Å
α = 90.00°, β = 90.00°, γ = 90.00°
Positions (direct):
Ca: 0.0000 0.0000 0.0000
Ca: 0.0000 0.0000 0.1945
Ca: 0.0000 0.0000 0.3908
Ca: 0.0000 0.0000 0.6092
Ca: 0.0000 0.0000 0.8055
Tl: 0.5000 0.5000 0.5000
Ag: 0.5000 0.5000 0.0976
Ag: 0.5000 0.5000 0.2922
Ag: 0.5000 0.5000 0.7078
Ag: 0.5000 0.5000 0.9024

Largest 10 diffraction maxima, by angle, 2θ from 10° to 90°:
| 2theta | I/Imax |
| --- | --- |
| 23.7 | 31.6 |
| 33.8 | 100.0 |
| 41.7 | 9.8 |
| 48.6 | 17.0 |
| 54.7 | 13.2 |
| 60.5 | 33.5 |
| 71.1 | 10.0 |
| 76.1 | 3.7 |
| 81.0 | 4.0 |
| 81.2 | 9.8 |

----------

MgAl2SiO7: calculated powder XRD pattern (Cu Kα (weighted mean of Kα1 and Kα2)), based on DFT lattice parameters and positions (PBE).
Peak positions follow from Bragg's law for the DFT cell and can differ from measured ones.

```
MgAl2SiO7
1.0
4.8059 -2.7912 0.0000
4.8059 2.7912 0.0000
-3.3948 0.0000 17.4111
Mg Al Si O
4 8 4 28
direct
0.1630 0.6748 0.9994 Mg
0.3252 0.8370 0.5006 Mg
0.6748 0.1630 0.4994 Mg
0.8370 0.3252 0.0006 Mg
0.0000 0.5000 0.5000 Al
0.0978 0.4017 0.7506 Al
0.4007 0.5993 0.2500 Al
0.4017 0.0978 0.2506 Al
0.5000 0.0000 0.0000 Al
0.5983 0.9022 0.7494 Al
0.5993 0.4007 0.7500 Al
0.9022 0.5983 0.2494 Al
0.0626 0.8689 0.6561 Si
0.1311 0.9374 0.8439 Si
0.8689 0.0626 0.1561 Si
0.9374 0.1311 0.3439 Si
0.0266 0.8392 0.5611 O
0.0405 0.2384 0.1867 O
0.0426 0.7499 0.1869 O
0.1608 0.9734 0.9389 O
0.2215 0.3270 0.0448 O
0.2375 0.5541 0.6867 O
0.2384 0.0405 0.6867 O
0.2501 0.9574 0.3131 O
0.2517 0.4485 0.2986 O
0.2915 0.4701 0.4515 O
0.3270 0.2215 0.5448 O
0.4459 0.7625 0.8133 O
0.4485 0.2517 0.7986 O
0.4701 0.2915 0.9515 O
0.5299 0.7085 0.0485 O
0.5515 0.7483 0.2014 O
0.5541 0.2375 0.1867 O
0.6730 0.7785 0.4552 O
0.7085 0.5299 0.5485 O
0.7483 0.5515 0.7014 O
0.7499 0.0426 0.6869 O
0.7616 0.9595 0.3133 O
0.7625 0.4459 0.3133 O
'''
“On Monday I will start and I won’t eat this, this, this, and this.” It’s all about removal. Now don’t get me wrong, some things do require changes. Change is not necessarily removal though. My belief was always, “want this…I’ll take that thanks…say goodbye to this…nope I will take that to”. You could never have one with the other. However, I have matured somewhat (like a well-aged wine I like to think), and nowadays I am considering the person, the cart they are on, the road ahead, and trying to remove as many opportunities for them as possible to either blow up the cart, go off the road, or both. Not “remove” as in food and label objects as “good” and “bad”, but rather remove the opportunities and chances of consistent self-sabotage.
The great coach Thibeadau once said, “If someone asks when they get a cheat day before they have even started, they won’t make it”. It’s about mindset and they don’t have it. Yet. I agree with this wholeheartedly, however, I also believe it’s a fear of when will I get to “feel normal” again and not be an outcast. We associate the start of a diet with no more social situations just so I don’t have to tell people I am on a diet, no more eating out just cos it’s easier, and a kitchen/pantry makeover so nothing tempts me when I wake at midnight ravenous and looking to eat anything not nailed down.
All of this comes down to the art of coaching and I will be the first to admit I am eternally learning and discovering new tools and options with every individual who I am fortunate enough to work with and trusted with the opportunity to help. If weekends are a time of socialising and family get-togethers, maybe we need to shuffle things around to account for that. If Friday is a special night with a special someone, or someone’s (LADS! LADS! LADS! LADS!), then again that needs to be accounted for.
But why? Why not just make the changes and get them to suck it up? Hell, it’s 1, 2, 10, whatever number of weeks, they aren’t going to die. No, they aren’t but traditions build networks and foster relationships. After all, we are pack/social creatures.
Making an adjustment that now fits a lifestyle speaks volumes for adherence and long-term change. It also speaks volumes of understanding. Acknowledgement of all the pieces that connect to make this machine of their life. As I mentioned earlier, this doesn’t mean some things won’t need changing or alteration and that is where education is key. Education breeds understanding. Understanding fosters change.
If there is one thing I have come to appreciate lately, it’s that people understand food, they don’t understand calories and macros. I for example eat the same selections of foods almost daily, so tracking or eating adlib is almost identical. I do need to be aware of my temptations though and depending on the goal at hand, there is likely a need for some level of restriction and acknowledging where my priorities lie. I can sustain a scale weight and level of body fat year-round that I am happy with, however, when I set a goal to lean out further, I need to remove the foods that are likely taking me further from my goal, not closer. Chocolate would be the food in this instance. Swapping that from a nightly treat to a once or twice a week treat can now save hundreds of calories, placing me in the deficit I need. I, and only I, have to be willing and compliant to give that up and make that change if the goal is important.
Seek to understand who is in front of you, who you are working with, what they are bringing to the table, and how you can best serve them with a better understanding of longer-term change and lasting results. You won’t always get it right and it does rely heavily on both sides of the equation doing their share. If something isn’t working then it’s likely both parties have something to work on.
If you do find yourself doing as I did though and trying to force-fit someone into something that works for you then you have lost sight of the fact there is another human in front of you, not just your reflection.
Otherwise, as Miley would say “you came in like a wrecking ball”.